Work order =
Could you set down all of the block below exactly?

Listing =
<<<
<a>
# BaLaSe2F

Crystalline BaLaSe2F at its relaxed geometry (PBE-GGA, Alexandria).

Unit cell a=4.3743 b=4.3743 c=15.2216 alpha=90.00 beta=90.00 gamma=90.00
With the nearest neighbours (Å) after each atom.
Atoms (fractional coordinates):
Ba 0.2500 0.2500 0.1020  4 F 2.68
Ba 0.7500 0.7500 0.8980  4 F 2.68
La 0.2500 0.2500 0.6204  1 Se 2.73
La 0.7500 0.7500 0.3796  1 Se 2.73
Se 0.2500 0.2500 0.4083  5 La 3.12-3.23
Se 0.2500 0.2500 0.8000  1 La 2.73
Se 0.7500 0.7500 0.2000  1 La 2.73
Se 0.7500 0.7500 0.5917  5 La 3.12-3.23
F 0.2500 0.7500 0.0000  4 Ba 2.68
F 0.7500 0.2500 0.0000  4 Ba 2.68

Calculated values
Symmetry: P4/nmm

***

<b>
# BaLaSe2F

Crystalline BaLaSe2F at its relaxed geometry (PBE-GGA, Alexandria).

Unit cell a=5.8628 b=5.8628 c=4.6006 alpha=90.00 beta=90.00 gamma=90.00
With the nearest neighbours (Å) after each atom.
Atoms (fractional coordinates):
Ba 0.0000 0.0000 0.0000  8 Se 3.73, 4 F 4.15
La 0.5000 0.5000 0.5000  2 F 2.30
Se 0.0000 0.5000 0.5000  2 La 2.93
Se 0.5000 0.0000 0.5000  2 La 2.93
F 0.5000 0.5000 0.0000  2 La 2.30

Calculated values
Symmetry: P4/mmm

***

<a> wins, 40 meV per atom ahead of the next structure.

***

<a>
# BaLiF3

Crystalline BaLiF3 at its relaxed geometry (PBE-GGA, Alexandria).

Unit cell a=5.0829 b=5.0829 c=5.0829 alpha=90.00 beta=90.00 gamma=90.00
With the nearest neighbours (Å) after each atom.
Atoms (fractional coordinates):
Ba 0.0000 0.0000 0.0000  6 F 2.54
Li 0.5000 0.5000 0.5000  12 F 3.59
F 0.0000 0.0000 0.5000  2 Ba 2.54
F 0.0000 0.5000 0.0000  2 Ba 2.54
F 0.5000 0.0000 0.0000  2 Ba 2.54

Calculated values
Symmetry: Pm-3m

***

<b>
# BaLiF3

Crystalline BaLiF3 at its relaxed geometry (PBE-GGA, Alexandria).

Unit cell a=4.0492 b=4.0492 c=4.0492 alpha=90.00 beta=90.00 gamma=90.00
With the nearest neighbours (Å) after each atom.
Atoms (fractional coordinates):
Ba 0.0000 0.0000 0.0000  12 F 2.86
Li 0.5000 0.5000 0.5000  6 F 2.02
F 0.0000 0.5000 0.5000  2 Li 2.02
F 0.5000 0.0000 0.5000  2 Li 2.02
F 0.5000 0.5000 0.0000  2 Li 2.02

Calculated values
Symmetry: Pm-3m

***

<b> wins, 635 meV per atom ahead of the next structure.

***

<a>
# BaLi2F

Crystalline BaLi2F at its relaxed geometry (PBE-GGA, Alexandria).

Unit cell a=6.6973 b=6.6973 c=6.6973 alpha=120.13 beta=120.13 gamma=89.78
With the nearest neighbours (Å) after each atom.
Atoms (fractional coordinates):
Ba 0.3750 0.6250 0.7500  12 Li 3.92-3.93, 4 Ba 4.10, 4 F 4.10
Ba 0.6250 0.3750 0.2500  12 Li 3.92-3.93, 4 F 4.10, 4 Ba 4.10
Li 0.0000 0.0000 0.0000  2 F 2.05
Li 0.0000 0.0000 0.5000  2 F 2.05
Li 0.0000 0.5000 0.0000  2 F 2.05
Li 0.5000 0.0000 0.5000  2 F 2.05
F 0.1250 0.8750 0.2500  4 Li 2.05
F 0.8750 0.1250 0.7500  4 Li 2.05

Calculated values
Symmetry: I4_1/amd

***

<b>
# BaLi2F

Crystalline BaLi2F at its relaxed geometry (PBE-GGA, Alexandria).

Unit cell a=5.4413 b=5.4413 c=5.4413 alpha=60.00 beta=60.00 gamma=60.00
With the nearest neighbours (Å) after each atom.
Atoms (fractional coordinates):
Ba 0.0000 0.0000 0.0000  8 Li 3.33
Li 0.2500 0.2500 0.2500  4 Ba 3.33, 4 F 3.33
Li 0.7500 0.7500 0.7500  4 Ba 3.33, 4 F 3.33
F 0.5000 0.5000 0.5000  8 Li 3.33

Calculated values
Symmetry: Fm-3m

***

<a> wins, 757 meV per atom ahead of the next structure.

***

<a>
# BaLiNF2

Crystalline BaLiNF2 at its relaxed geometry (PBE-GGA, Alexandria).

Unit cell a=4.0485 b=4.0485 c=4.3143 alpha=90.00 beta=90.00 gamma=90.00
With the nearest neighbours (Å) after each atom.
Atoms (fractional coordinates):
Ba 0.0000 0.0000 0.0000  4 N 2.86, 8 F 2.96
Li 0.5000 0.5000 0.5000  4 F 2.02, 2 N 2.16
N 0.5000 0.5000 0.0000  2 Li 2.16
F 0.0000 0.5000 0.5000  2 Li 2.02
F 0.5000 0.0000 0.5000  2 Li 2.02

Calculated values
Symmetry: P4/mmm

***

<b>
# BaLiNF2

Crystalline BaLiNF2 at its relaxed geometry (PBE-GGA, Alexandria).

Unit cell a=5.0404 b=5.0404 c=5.4431 alpha=90.00 beta=90.00 gamma=90.00
With the nearest neighbours (Å) after each atom.
Atoms (fractional coordinates):
Ba 0.0000 0.0000 0.0000  4 F 2.52, 2 N 2.72
>>>

Here it is =
<a>
# BaLaSe2F

Crystalline BaLaSe2F at its relaxed geometry (PBE-GGA, Alexandria).

Unit cell a=4.3743 b=4.3743 c=15.2216 alpha=90.00 beta=90.00 gamma=90.00
With the nearest neighbours (Å) after each atom.
Atoms (fractional coordinates):
Ba 0.2500 0.2500 0.1020  4 F 2.68
Ba 0.7500 0.7500 0.8980  4 F 2.68
La 0.2500 0.2500 0.6204  1 Se 2.73
La 0.7500 0.7500 0.3796  1 Se 2.73
Se 0.2500 0.2500 0.4083  5 La 3.12-3.23
Se 0.2500 0.2500 0.8000  1 La 2.73
Se 0.7500 0.7500 0.2000  1 La 2.73
Se 0.7500 0.7500 0.5917  5 La 3.12-3.23
F 0.2500 0.7500 0.0000  4 Ba 2.68
F 0.7500 0.2500 0.0000  4 Ba 2.68

Calculated values
Symmetry: P4/nmm

***

<b>
# BaLaSe2F

Crystalline BaLaSe2F at its relaxed geometry (PBE-GGA, Alexandria).

Unit cell a=5.8628 b=5.8628 c=4.6006 alpha=90.00 beta=90.00 gamma=90.00
With the nearest neighbours (Å) after each atom.
Atoms (fractional coordinates):
Ba 0.0000 0.0000 0.0000  8 Se 3.73, 4 F 4.15
La 0.5000 0.5000 0.5000  2 F 2.30
Se 0.0000 0.5000 0.5000  2 La 2.93
Se 0.5000 0.0000 0.5000  2 La 2.93
F 0.5000 0.5000 0.0000  2 La 2.30

Calculated values
Symmetry: P4/mmm

***

<a> wins, 40 meV per atom ahead of the next structure.

***

<a>
# BaLiF3

Crystalline BaLiF3 at its relaxed geometry (PBE-GGA, Alexandria).

Unit cell a=5.0829 b=5.0829 c=5.0829 alpha=90.00 beta=90.00 gamma=90.00
With the nearest neighbours (Å) after each atom.
Atoms (fractional coordinates):
Ba 0.0000 0.0000 0.0000  6 F 2.54
Li 0.5000 0.5000 0.5000  12 F 3.59
F 0.0000 0.0000 0.5000  2 Ba 2.54
F 0.0000 0.5000 0.0000  2 Ba 2.54
F 0.5000 0.0000 0.0000  2 Ba 2.54

Calculated values
Symmetry: Pm-3m

***

<b>
# BaLiF3

Crystalline BaLiF3 at its relaxed geometry (PBE-GGA, Alexandria).

Unit cell a=4.0492 b=4.0492 c=4.0492 alpha=90.00 beta=90.00 gamma=90.00
With the nearest neighbours (Å) after each atom.
Atoms (fractional coordinates):
Ba 0.0000 0.0000 0.0000  12 F 2.86
Li 0.5000 0.5000 0.5000  6 F 2.02
F 0.0000 0.5000 0.5000  2 Li 2.02
F 0.5000 0.0000 0.5000  2 Li 2.02
F 0.5000 0.5000 0.0000  2 Li 2.02

Calculated values
Symmetry: Pm-3m

***

<b> wins, 635 meV per atom ahead of the next structure.

***

<a>
# BaLi2F

Crystalline BaLi2F at its relaxed geometry (PBE-GGA, Alexandria).

Unit cell a=6.6973 b=6.6973 c=6.6973 alpha=120.13 beta=120.13 gamma=89.78
With the nearest neighbours (Å) after each atom.
Atoms (fractional coordinates):
Ba 0.3750 0.6250 0.7500  12 Li 3.92-3.93, 4 Ba 4.10, 4 F 4.10
Ba 0.6250 0.3750 0.2500  12 Li 3.92-3.93, 4 F 4.10, 4 Ba 4.10
Li 0.0000 0.0000 0.0000  2 F 2.05
Li 0.0000 0.0000 0.5000  2 F 2.05
Li 0.0000 0.5000 0.0000  2 F 2.05
Li 0.5000 0.0000 0.5000  2 F 2.05
F 0.1250 0.8750 0.2500  4 Li 2.05
F 0.8750 0.1250 0.7500  4 Li 2.05

Calculated values
Symmetry: I4_1/amd

***

<b>
# BaLi2F

Crystalline BaLi2F at its relaxed geometry (PBE-GGA, Alexandria).

Unit cell a=5.4413 b=5.4413 c=5.4413 alpha=60.00 beta=60.00 gamma=60.00
With the nearest neighbours (Å) after each atom.
Atoms (fractional coordinates):
Ba 0.0000 0.0000 0.0000  8 Li 3.33
Li 0.2500 0.2500 0.2500  4 Ba 3.33, 4 F 3.33
Li 0.7500 0.7500 0.7500  4 Ba 3.33, 4 F 3.33
F 0.5000 0.5000 0.5000  8 Li 3.33

Calculated values
Symmetry: Fm-3m

***

<a> wins, 757 meV per atom ahead of the next structure.

***

<a>
# BaLiNF2

Crystalline BaLiNF2 at its relaxed geometry (PBE-GGA, Alexandria).

Unit cell a=4.0485 b=4.0485 c=4.3143 alpha=90.00 beta=90.00 gamma=90.00
With the nearest neighbours (Å) after each atom.
Atoms (fractional coordinates):
Ba 0.0000 0.0000 0.0000  4 N 2.86, 8 F 2.96
Li 0.5000 0.5000 0.5000  4 F 2.02, 2 N 2.16
N 0.5000 0.5000 0.0000  2 Li 2.16
F 0.0000 0.5000 0.5000  2 Li 2.02
F 0.5000 0.0000 0.5000  2 Li 2.02

Calculated values
Symmetry: P4/mmm

***

<b>
# BaLiNF2

Crystalline BaLiNF2 at its relaxed geometry (PBE-GGA, Alexandria).

Unit cell a=5.0404 b=5.0404 c=5.4431 alpha=90.00 beta=90.00 gamma=90.00
With the nearest neighbours (Å) after each atom.
Atoms (fractional coordinates):
Ba 0.0000 0.0000 0.0000  4 F 2.52, 2 N 2.72